The Human Vaccines Project, Vanderbilt, And Illumina Collaborate To Decode The Human Immunome

Attached: quantum chemistry results >
/*
This record from the Open Molecules 2025 dataset describes C70H55CrNO4P2SSi as an isolated structure. The level of theory is wB97M-V/def2-TZVPD.

As for the HOMO energy (alpha / beta): -6.4 / -8.2 eV. The LUMO energy (alpha / beta) is -0.36 / -0.39 eV. For the molar mass, the calculation gives 1148.31 g mol⁻¹. As for the energy above the lowest of the compared OMol25 structures with the same formula, charge and spin: 11.8 kcal per mole. The calculation puts the total energy at -5471.24299 Ha. Its spin multiplicity is 5.

Atoms and positions in Å:
Cr1 0.08953 -0.03594 0.88445
O1 -1.05453 0.23309 -0.77389
S1 -2.37443 0.40351 -1.42774
C1 -3.77697 0.04991 -0.35538
C2 -4.84141 0.89895 -0.50415
C3 -6.18949 0.47064 -0.40820
C4 -6.41947 -0.86540 -0.29781
C5 -7.69984 -1.66826 -0.32356
C6 -7.24409 -3.15219 -0.21504
C7 -5.74795 -3.07964 -0.00210
C8 -4.81299 -4.04329 0.22965
C9 -3.49628 -3.62961 0.54823
C10 -3.07489 -2.31832 0.53144
P1 -1.62962 -1.81395 1.58621
C11 -2.55948 -1.27037 3.08439
C12 -3.93800 -1.35745 3.27187
C13 -4.52626 -0.84670 4.42481
C14 -3.74380 -0.25265 5.40467
C15 -2.36497 -0.19165 5.23902
C16 -1.77684 -0.69641 4.08976
C17 -0.93056 -3.39378 2.20138
C18 -1.58522 -4.18936 3.14463
C19 -0.99788 -5.35479 3.60720
C20 0.25364 -5.73791 3.13411
C21 0.91173 -4.94873 2.20540
C22 0.32469 -3.77787 1.74261
C23 -3.99000 -1.33063 0.02142
C24 -5.32543 -1.73937 -0.09482
C25 -2.42167 2.13615 -1.88779
C26 -3.21222 2.36094 -2.98981
C27 -3.06366 3.48164 -3.82980
C28 -1.98769 4.29027 -3.60619
C29 -1.44715 5.45363 -4.40431
C30 -0.12434 5.84719 -3.69032
C31 -0.02672 4.90283 -2.51488
C32 0.92691 4.74510 -1.56085
C33 0.66605 3.84095 -0.50068
C34 -0.46523 3.06846 -0.40956
P2 -0.82902 2.28851 1.21974
C35 -2.56844 2.83885 1.46742
C36 -3.43456 2.05332 2.21826
C37 -4.73360 2.47799 2.48268
C38 -5.18101 3.68924 1.98375
C39 -4.32329 4.48253 1.22273
C40 -3.02924 4.06330 0.97208
C41 -0.01481 3.35187 2.47498
C42 0.06224 4.74407 2.43007
C43 0.61663 5.45280 3.48259
C44 1.09683 4.78213 4.60317
C45 1.01389 3.40079 4.66362
C46 0.46230 2.69087 3.60301
C47 -1.36331 3.04353 -1.53599
C48 -1.14838 4.04330 -2.50065
H1 -4.64406 1.93502 -0.75742
H2 -6.99263 1.18950 -0.51380
H3 -8.26495 -1.47963 -1.23649
H4 -8.34433 -1.38760 0.51083
H5 -7.47347 -3.70378 -1.12776
H6 -7.74019 -3.67304 0.60381
H7 -5.07150 -5.09470 0.26882
H8 -2.80379 -4.38188 0.90333
H9 -4.56684 -1.82089 2.52285
H10 -5.59936 -0.91978 4.55724
H11 -4.20334 0.15104 6.29813
H12 -1.74401 0.25281 6.00673
H13 -0.69516 -0.67829 3.97970
H14 -2.55486 -3.89476 3.53006
H15 -1.50926 -5.95786 4.34701
H16 0.71582 -6.64595 3.50061
H17 1.89257 -5.23314 1.84485
H18 0.84273 -3.13822 1.03513
H19 -3.93304 1.59874 -3.27020
H20 -3.72522 3.61930 -4.67563
H21 -2.16106 6.27840 -4.41442
H22 -1.27968 5.16787 -5.44324
H23 -0.14334 6.88358 -3.35182
H24 0.73576 5.74534 -4.35230
H25 1.84247 5.32344 -1.56185
H26 1.38353 3.78098 0.30831
H27 -3.09245 1.10200 2.61284
H28 -5.38728 1.84823 3.07378
H29 -6.19083 4.02415 2.18605
H30 -4.66605 5.43106 0.82856
*/
End of the quantum chemistry results >

April 12, 2017

~~~
1.
A molecular structure, C33H32As2N4NbO2 in a non-equilibrium geometry. Source: the OMol25 dataset; level of theory: ωB97M-V with the def2-TZVPD basis set.

Summary:
Gap between HOMO and LUMO (alpha / beta) in eV: 5.38 / 5.23
E_HOMO (alpha / beta) in eV: -15.107 / -14.953
Total charge: +3

Each line ends with the Löwdin charge.
Element x y z (Å)
1 Nb 1.9391 -2.3849 2.3442  0.923
2 C 2.9317 -5.2247 3.9004  -0.183
3 As 1.3921 -3.9726 3.5802  0.994
4 C -0.2362 -4.9069 3.1006  -0.202
5 C 0.8774 -2.7584 5.0471  -0.329
6 C 0.4323 -2.9985 6.3776  -0.031
7 C 0.0982 -1.9309 7.2154  -0.020
8 C 0.4898 -0.6523 6.9230  -0.025
9 C 1.0335 -0.3948 5.6875  -0.097
10 C 1.1196 -1.4225 4.7604  -0.400
11 As 1.4239 -0.6410 3.0753  0.857
12 C -0.0506 0.1174 2.1355  -0.185
13 C 2.7985 0.6901 3.0975  -0.209
14 H 3.7786 -4.5739 3.6791  0.026
15 H 2.8468 -6.0681 3.1790  0.056
16 H 2.9109 -5.5502 4.9494  0.049
17 H 0.1025 -5.9491 2.8974  0.066
18 H -0.5340 -4.3353 2.2295  0.023
19 H -0.8645 -4.7858 3.9550  0.030
20 H 0.4102 -3.9844 6.7317  0.103
21 H -0.2668 -2.2472 8.2048  0.141
22 H 0.4977 0.1437 7.6672  0.140
23 H 1.3193 0.6130 5.5055  0.105
24 H 0.3896 0.4312 1.2207  -0.001
25 H -0.4797 0.9029 2.7287  0.050
26 H -0.7048 -0.7459 1.9018  0.056
27 H 3.6766 0.3921 3.7103  0.073
28 H 2.4761 1.7241 3.3525  0.074
29 H 3.1996 0.7637 2.1116  -0.003
30 C -7.3566 6.3177 -5.7015  0.084
31 O -7.2301 4.8510 -5.2922  0.018
32 C -6.1588 4.3862 -4.7455  -0.223
33 C -5.0323 5.2323 -4.4893  0.079
34 C -3.8429 4.5483 -4.0037  0.095
35 C -3.7502 3.1315 -3.8800  -0.260
36 C -4.9022 2.3935 -4.1359  0.008
37 C -6.1103 2.9360 -4.5077  0.080
38 N -2.6624 2.4776 -3.5163  0.140
39 N -1.6814 3.3024 -3.1567  0.084
40 C -0.5909 2.7369 -2.7506  -0.151
41 C 0.3942 3.6894 -2.1601  0.065
42 C 1.4349 3.3069 -1.3579  0.081
43 C 1.6058 1.9154 -0.8823  -0.372
44 O 2.3154 1.6319 -0.0181  0.148
45 C 0.9460 0.9483 -1.8048  -0.132
46 N 1.3583 -0.2995 -1.7291  0.138
47 C 0.9567 -1.1632 -2.5822  -0.154
48 C 0.0677 -0.8884 -3.5428  -0.015
49 C -0.6245 0.3440 -3.5436  0.063
50 C -0.1031 1.3527 -2.6791  -0.050
51 H -7.3580 6.9802 -4.8493  0.109
52 H -8.3837 6.2824 -6.0947  0.117
53 H -6.6714 6.4174 -6.5005  0.095
54 H -4.8724 6.2698 -4.7398  0.124
55 H -3.0587 5.2482 -3.8533  0.107
56 H -4.9017 1.3305 -4.0643  0.124
57 H -6.9153 2.1536 -4.5716  0.159
58 H 0.2090 4.6911 -2.3118  0.098
59 H 2.0911 4.0054 -0.9667  0.108
60 H 1.3701 -2.1712 -2.5180  0.129
61 H -0.2110 -1.7253 -4.2051  0.135
62 H -1.4164 0.5240 -4.2538  0.109
63 N 6.7284 -2.9082 -2.4200  0.217
64 C 5.6381 -2.9675 -2.0256  -0.120
65 C 4.4922 -2.8271 -1.0969  -0.164
66 C 4.0369 -4.0331 -0.5626  0.016
67 C 3.1899 -3.9208 0.4927  -0.053
68 C 2.7101 -2.6844 0.8623  -0.516
69 C 3.1299 -1.5139 0.2870  -0.073
70 C 4.0448 -1.5541 -0.7872  0.036
71 H 4.4020 -4.9839 -0.8965  0.142
72 H 2.8424 -4.7961 1.0242  0.106
73 H 2.6267 -0.6096 0.5300  0.046
74 H 4.2369 -0.6091 -1.2677  0.139

Atoms 1-6, force components in eV/Å:
3.47 -5.90 -5.14
-1.05 0.17 0.17
~~~

By Bio-IT World Staff

April 12, 2017 | The Human Vaccines Project and Vanderbilt University Medical Center (VUMC) announced this week that they joined forces with Illumina to decipher the human immunome, the genetic underpinnings of the immune system.

Illumina will provide the genetic sequencing technologies and expertise required to process the massive amounts of data required to decode the human immunome.

The Human Vaccines Project is a public-private partnership of academic research centers, industry, non-profits and government agencies that aims to decode the human immune system to accelerate development of next-generation vaccines and immunotherapies. A core initiative of the Project is the Human Immunome Program, an internationally led effort by VUMC to determine key principles of how the human immune system prevents and controls disease by illuminating the complete set of genes and molecular structures known as the human immunome.

“By decoding the human immune system, we have the potential to uncover novel diagnostic biomarkers for a wide range of diseases,” wrote James Crowe Jr., director of the Vanderbilt Vaccine Center and lead investigator of the Human Immunome Program, in a statement. “This will enable the development of highly targeted vaccines and immunotherapies against infectious and non-communicable diseases like AIDS, Alzheimer’s, multiple sclerosis, and cancer.”

Due to its scale and complexity, the human immunome is estimated to be billions of times larger than the human genome. With recent technological advances from biomedical and computational sciences, it is now possible to undertake such a mammoth genetic sequencing and data analysis program.

- - -
[1]
C3H9NO as an isolated structure in a non-equilibrium geometry. Source: the Open Molecules 2025 dataset; level of theory: ωB97M-V with the def2-TZVPD basis set.

Output
HOMO-LUMO gap, Eh: 0.3497
Electronic energy, eV: -6791.4598
E_LUMO, Eh: 0.0205
Energy relative to the best compared isomer or geometry (same formula, charge and spin), eV: 3.5959
HOMO level, eV: -9.0

The geometry in XYZ format:
```
14
Properties=species:S:1:pos:R:3:forces:R:3
C 1.4829 -0.1882 1.3716 0.731 0.100 0.021
C -0.3532 -0.6183 -0.3405 1.664 -1.130 1.403
C -0.5679 0.6097 -1.2086 -0.764 0.008 -2.666
H 2.0593 -1.2045 1.3854 -1.375 1.297 -0.073
H 1.6504 0.2967 2.3913 -0.179 -0.557 -1.423
H 2.0076 0.4045 0.5834 -0.379 -0.200 0.728
H -0.3417 -0.8575 1.7892 -0.211 0.784 -1.130
H 0.3945 -1.3734 -0.8113 -0.770 1.320 0.847
H -1.3296 -1.1901 -0.2934 1.050 0.936 -0.110
H -0.7730 0.1790 -2.2531 1.025 0.658 0.982
H 0.1457 1.5513 -1.3106 -0.889 -2.333 0.682
H -2.5472 1.5703 -1.6358 3.727 -2.640 4.064
N 0.0084 -0.1711 1.0828 0.992 -2.083 0.039
O -1.8362 0.9915 -0.7503 -4.623 3.839 -3.364
```
Forces are in eV/Å.

So, what does the Löwdin scheme give us? The charges, in e, come out as:
1 C -0.174
2 C -0.235
3 C -0.347
4 H 0.086
5 H 0.081
6 H 0.066
7 H 0.100
8 H 0.126
9 H 0.124
10 H 0.114
11 H 0.145
12 H 0.264
13 N -0.128
14 O -0.221

[2]
A 2-piece molecular cluster, C3H9NO overall in a non-equilibrium geometry. Source: the Open Molecules 2025 dataset; level of theory: ωB97M-V with the def2-TZVPD basis set.

Output
HOMO-LUMO gap (spin up / spin down), Eh: 0.3245 / 0.1230
Electronic energy, eV: -6784.0689
Expectation value of S²: 0.7543
E_LUMO (spin up / spin down), Eh: -0.1434 / -0.3449
Multiplicity: 2
Energy relative to the best compared isomer or geometry (same formula, charge and spin), eV: 2.2401
Net charge: +1
HOMO level (spin up / spin down), eV: -12.7 / -12.7

The geometry in XYZ format:
```
14
Properties=species:S:1:pos:R:3:forces:R:3
O -1.9614 -0.8874 3.6520 -0.005 0.358 -0.580
C -1.3144 0.0206 4.0916 0.382 -0.866 1.066
H -1.3075 0.1926 5.1870 -0.101 0.389 -0.209
H -0.5780 0.6048 3.5098 -0.256 0.142 -0.272
C 0.4234 -1.1251 -2.0000 1.159 0.530 0.724
C 0.3711 0.4077 -1.9538 -1.892 -1.290 0.405
N 0.6149 0.9251 -0.6469 1.858 1.658 -2.353
H -0.1891 -1.5058 -1.1872 -0.323 -0.174 -0.283
H 0.1265 -1.4648 -2.9717 -0.342 -0.244 -0.356
H 1.4408 -1.4766 -1.8094 -0.017 -0.034 -0.124
H 1.0455 0.8889 -2.6925 0.398 0.114 0.310
H -0.6274 0.7406 -2.2529 0.036 0.202 -0.050
H 1.5691 0.7535 -0.3122 -0.410 -0.530 0.828
H 0.3865 1.9258 -0.6138 -0.488 -0.256 0.893
```
Forces are in eV/Å.

So, what does the Löwdin scheme give us? The charges, in e, come out as:
1 O -0.002
2 C -0.151
3 H 0.088
4 H 0.066
5 C -0.036
6 C -0.221
7 N 0.311
8 H 0.094
9 H 0.090
10 H 0.092
11 H 0.186
12 H 0.144
13 H 0.171
14 H 0.169

[3]
A 3-piece molecular cluster, C3H9NO2 overall in a non-equilibrium geometry. Source: the Open Molecules 2025 dataset; level of theory: ωB97M-V with the def2-TZVPD basis set.

Output
- - -
• The quantum chemistry results stop here:

The launch of the Project’s Human Immunome Program was announced in June 2016. The long-term global study, which is coordinated by the Vanderbilt Institute for Clinical and Translational Research, will genetically sequence the receptors from B and T immune cells from individuals varied by age, gender, genetics, geography, and disease states. Results will be shared as an open-sourced database to the global scientific community.

This multi-institutional effort is also supported by the Human Vaccines Project Bioinformatics and Data Management Core, located at the J. Craig Venter Institute and the San Diego Super Computer Center at the University of California, San Diego. The Core will analyze the enormous data sets generated by the effort.